Was a fun event and special thanks to all the special event operators for a fun event! Big Full Stomp!
'''
1.
29
Properties=species:S:1:pos:R:3:forces:R:3:mulliken_charge:R:1 method="wB97M-V/def2-TZVPD" s2=0.754 e_homo_ev="-16.140 / -17.216" homo_lumo_gap_ev="7.57 / 8.63" multiplicity=2 de_lowest_kcal_mol=4.3 total_charge=+2
H -3.51613 2.14146 0.30814 0.2757 -0.4761 -0.3555 0.398
H 0.36698 1.34730 -3.52631 0.0345 0.0786 0.2919 0.335
C 1.79313 -1.39407 -0.89223 1.2904 0.2207 -0.0884 -0.537
H -3.57330 0.48997 0.97816 0.2007 0.2661 -0.3170 0.296
H 2.57247 0.04961 -2.26071 -0.2561 -0.0768 0.0812 0.438
H -0.42035 -3.43559 0.51883 0.3951 0.2408 0.0132 0.365
H -1.19096 2.43310 0.99450 -0.1123 -0.1442 0.1023 0.374
H 0.63136 1.34164 2.43098 0.0080 -0.2328 -0.1743 0.452
C 1.61430 -0.44503 -2.04864 0.8048 -0.6306 -0.4985 -0.561
O 0.48832 -1.80595 -0.44174 0.5193 -1.0220 -0.5758 -0.250
H -2.09390 1.75624 2.39612 0.0436 -0.1044 -0.3381 0.454
O -0.88247 0.42288 1.34896 -0.8827 0.8313 2.6612 -0.278
H -0.15920 -1.62846 2.78733 0.5698 -0.0623 -0.4930 0.356
H 2.36259 -2.27738 -1.20591 -0.2095 0.1653 0.1177 0.488
C -2.92578 1.21503 0.44413 -1.0122 0.4305 2.0673 -0.451
H -0.27927 2.26772 -2.12568 0.1715 -0.0971 -0.1411 0.328
C -1.76381 1.56985 1.36561 -0.4028 0.9305 0.3066 -0.532
C 0.57050 -0.81750 2.71006 -1.0383 1.7448 0.6375 -0.983
O 0.64257 0.51608 -1.64402 2.5872 0.8165 -1.1870 -0.334
H 2.29500 -0.89490 -0.05163 -0.0915 -0.1777 -0.1201 0.368
C 0.55502 1.66037 -2.49028 -0.1723 1.2834 -0.9215 -0.685
H 1.48314 -0.84456 3.30420 -0.3179 -0.0834 -0.0531 0.345
O -2.48703 0.68378 -0.75990 -2.3992 1.3959 -1.5560 -0.425
Tl -0.86913 -0.26536 -0.57351 -1.5094 -2.8972 -0.9425 1.568
H 1.27517 -0.95947 -2.95959 -0.0160 0.1592 0.1829 0.378
H 1.39434 -2.91952 1.07346 -0.4054 -0.1783 -0.2002 0.454
C 0.47807 -2.81932 0.49465 0.0395 -0.8808 0.6520 -0.683
C 0.14949 0.37879 2.25081 2.1260 -1.2890 0.8326 0.022
H 1.48890 2.23329 -2.42580 -0.2404 -0.2110 0.0158 0.299



2.
42
Properties=species:S:1:pos:R:3:forces:R:3:mulliken_charge:R:1 method="wB97M-V/def2-TZVPD" e_homo_ev=-10.829 homo_lumo_gap_ev=7.56 total_charge=+1
C -0.31473 -2.27095 -0.65732 0.0257 -0.0097 -0.0471 -0.012
H -2.24503 1.74577 -4.26060 0.0229 0.0036 -0.0031 0.440
H -4.57779 1.12971 -3.65116 -0.0133 -0.0006 -0.0135 0.407
H 5.19703 0.09119 1.37672 0.0205 0.0026 0.0061 0.433
C -0.81956 -0.75538 2.60418 0.0184 0.2650 0.1696 -0.611
H -1.40567 -5.02750 0.95163 -0.0025 -0.0206 -0.0026 0.433
N 0.02965 3.68700 3.28771 -0.1027 -0.1581 0.3891 -0.386
N -1.77317 1.02826 -1.01914 0.2076 0.0072 -0.2762 0.233
N -0.33866 -1.37104 0.32293 -0.2518 -0.3856 0.1723 0.367
H 2.76942 0.47181 1.74199 0.0203 0.0015 -0.0133 0.367
C -1.15045 -3.07453 1.80035 0.0393 0.1234 -0.0235 -0.979
C -1.51308 1.39642 -2.27560 -0.1626 -0.1054 0.1330 0.162
C -3.01510 0.68450 -0.69735 -0.0751 -0.0074 0.0570 -0.201
C 4.51594 0.08184 0.53885 -0.0381 -0.0081 -0.0258 -0.830
C -0.76535 -1.76144 1.55467 -0.0218 -0.3076 -0.2335 0.898
H -1.14562 -1.00910 3.60776 0.0199 0.0512 0.0244 0.354
H 0.01701 -1.90809 -1.61973 0.0035 0.0034 -0.0086 0.262
'''
Thank you! I have never used a spotting network before this I had no need. This event changed that and I found a Need! Learned how to use some new tools. Thanks again and I am looking forward to my Big Stomp Certificate as I got all 6 and W7O twice on different modes and worked a few more,W7_ more than once. This was a hoot! I've only been a ham since May of 2023 and new to the Extra Class as well and this was a good learning experience. It was either this or JOTA and I choose Bigfoot SES. My hat's off to all the operators who may have lost sleep or meals, or not; they did a terrific job from my QTH and point of view. 73 de KN6ZVI
Guys, I did work W7T in Tacoma, WA, at 1908z, 21 Oct 24, on 28.320 USB. This was the only one I worked and was thrilled to get it lol. I did hear W7O on 14.338, but could not break pile up....But I did get to hear Dave’s melodies voice for the first time ever. I am very happy that W7T confirmed here for me.
If you still want the pretty 8 1/2" x 11 full-color certificate, even a single letter qualifies! Go to www.QRZ.com/db/W7O for all the details. Really fun event - thanks so much to all Dave W7UUU
ALL the letters are getting confirmations. Remember that there were a number of operators - but not all have uploaded their logs to the site. Your "G" is probably in one of those logs. Just give it some time. Thanks for working the event! Dave W7UUU
We found this sign antique hunting in North Florida this past weekend. I knew it was meant to be! Looking forward to next year! Ronnie NZ4X
Hi. I worked all the stations and wanted to get a QSL card and the Big Stomp cert as well but the information how to do it has been removed from the callsign pages since there is a new event. Can anyone provide me the info please? Thank you Michael N6HBJ
It's all still here: https://www.qrz.com/db/WA7WJR/VE7 Thanks for working the event! I was one of 4 W7O stations Dave W7UUU
_Unrelated to this piece: records of molecules_
No. 1
{
  "formula": "C3H6OS",
  "method": "the ωB97M-V functional and the def2-TZVPD basis",
  "total_charge": 0,
  "orbital_gap_ev": 9.08,
  "homo_ev": -8.409,
  "lumo_ev": 0.6714,
  "multiplicity": 1,
  "smiles": "CC1(C)OS1",
  "symbols": ["C", "C", "C", "O", "S", "H", "H", "H", "H", "H", "H"],
  "positions_angstrom": [[1.012, 0.075, -0.192], [-0.041, -1.390, -0.286], [0.202, 1.321, -0.295], [2.212, -0.032, -0.783], [2.494, -0.065, 0.806], [0.328, -1.830, -1.286], [-1.048, -0.935, -0.330], [0.147, -2.055, 0.572], [0.877, 2.195, -0.475], [-0.328, 1.405, 0.614], [-0.553, 0.949, -1.008]]
}


No. 2
{
  "formula": "C3H6OS",
  "method": "the ωB97M-V functional and the def2-TZVPD basis",
  "total_charge": 0,
  "orbital_gap_ev": [7.74, 7.79],
  "homo_ev": [-9.381, -9.421],
  "lumo_ev": [-1.6372, -1.6266],
  "multiplicity": 1,
  "smiles": "C=CC.O=S",
  "symbols": ["C", "C", "C", "O", "S", "H", "H", "H", "H", "H", "H"],
  "positions_angstrom": [[-0.190, -0.809, 0.370], [0.772, 0.082, 0.551], [1.518, 0.567, -0.729], [-3.503, 0.101, 1.196], [-3.783, -0.076, -0.268], [-0.865, -1.159, 1.192], [-0.303, -1.221, -0.639], [0.901, 0.490, 1.531], [2.048, 1.463, -0.605], [0.924, 0.603, -1.723], [2.480, -0.042, -0.876]]
}


Energy for the records above, in order: -591.2270; -591.2140 Eh
ΔE to the lowest compared entry with this formula, charge and spin for the records above, in order: 278.3; 312.5 kJ/mol

----------

1.
C3H13NO3 | ωB97M-V with the def2-TZVPD basis set

Atoms and positions in Å:
C: 0.5707 -0.2630 -1.7938
C: 1.7161 0.2485 -0.8964
C: 1.2137 0.6656 1.3426
N: 1.1090 1.0789 0.1498
H: 0.7982 -1.0933 -2.4551
H: 0.2706 0.6315 -2.3477
H: -0.2761 -0.5271 -1.1625
H: 2.3114 -0.5724 -0.4809
H: 2.3829 0.8941 -1.4671
H: 1.5435 -0.3166 1.6783
H: 0.8967 1.3943 2.0888
H: -0.7621 -1.6400 1.1605
H: -0.2203 -3.0511 1.2219
O: 0.0101 -2.1577 1.4691
H: -0.7685 1.7573 -0.0792
H: -2.0237 1.9173 -0.9199
O: -1.7077 2.0033 -0.0112
H: -2.0712 0.2141 0.3430
H: -2.7041 -0.5003 1.5090
O: -2.2890 -0.6833 0.6508

Computed properties:
Spin multiplicity: 1
Strongest force on any atom: 1.12 eV/Å
SMILES: C=NCC.O.O.O
Net charge: 0
ΔE to the lowest compared entry with this formula, charge and spin: 67.1 kJ/mol
Calculated total energy: -402.55488 Eh

2.
C3H13NO3 | ωB97M-V with the def2-TZVPD basis set

Atoms and positions in Å:
C: 1.4451 1.5277 1.6261
N: 1.0779 0.6893 0.5049
C: -0.0518 1.1640 -0.2638
C: 0.0502 0.7402 -1.7201
O: 0.4009 -0.6297 -1.8640
H: 0.5971 1.7087 2.3144
H: 1.7954 2.4911 1.2762
H: 2.1981 1.0146 2.2239
H: 0.8759 -0.2637 0.8031
H: -1.0121 0.8270 0.1436
H: -0.0693 2.2529 -0.2196
H: -0.9117 0.8490 -2.2138
H: 0.7907 1.3697 -2.2197
H: 1.3247 -0.7339 -1.6103
H: -0.9459 -1.9727 -1.4085
H: -1.9876 -3.0841 -1.4114
O: -1.2657 -2.7235 -0.8724
H: -1.1434 -2.0261 0.9666
H: -1.9363 -1.7959 2.2384
O: -1.2323 -1.4044 1.7063

Computed properties:
Spin multiplicity: 1
Strongest force on any atom: 1.07 eV/Å
SMILES: CNCCO.O.O
Net charge: 0
_End of the records of molecules_
Yup, I remember working you! I was going to ask about confirming a QSO with your regular callsign too but I thought about it too late. I'll catch you on the next one. Thanks! Mike
Any idea when they will be sent out along with the certificates? I sent in my QSL card and a check, don't recall when exactly. Just looking for info on when to expect a letter back. KC8DFL
Hi Brad! (And everyone else) We have been getting bundles and bundles of mail every day from the Tacoma post office; they actually started coming in during the event! So, now that the river of cards and envelopes has slowed to a trickle, we have scheduled two work parties to process all of these returns. The first one will be November 11th 2024 and the second one November 17th 2024. Additional work parties will be added as necessary, so a word to all of you that have sent in QSL cards or requests for QSL cards and certificates: we're working on it and I don't think the original organizer really understood the volume of requests and/or the popularity of this event! We will get to all of you, never fear! This was a first time event; we expect to do it again next year, and we'll be better at this next year, promise! Thanks for your inquiry Brad! Gary McAdams WG7X Secretary, Radio Club of Tacoma W7DK.org